Doctor Who: The Cancelled Years Wiki

The Time Lords were inhabitants of the planet Gallifrey, who were most famous for the creation and attempted monopolisation of time travel technology. (TVThe Time Warrior) They created and upheld the Laws of Time. (TVThe Three DoctorsAttack of the Cybermen)

They had an instinctive urge to stay away from events that would always happen. They were seen as nearly immortal, (TVThe War Games) partially due to their ability to regenerate. (TVPlanet of the Spiders)

One of their many conflicts was a war against the Great Vampires, which was so long and bloody that they turned against violence in general. (TVState of Decay) For at least part of their history, the Time Lords adhered to a strict policy of non-interference. (TVThe War Games) Despite their attempts to keep up an appearance of being uninterested in the affairs of others, they still sent discreet missions where other Time Lords would act on their behalf. (TVColony in SpaceThe Two DoctorsGenesis of the Daleks, et al.) On one occasion, the Fourth Doctor was instructed to intercept the creation of the Dalek race, (TVGenesis of the Daleks)

By the time of the Sixth Doctor, the Time Lords had reigned in "absolute power" for ten million years. (TVThe Ultimate Foe)



External appearance[]

Externally, Gallifreyans were usually identical to humans. Hair and eye colour were of any colour found among humans. Teeth were indistinguishable from human teeth. (TVThe Gunfighters)  However, while Romana I was regenerating into Romana II, she took on various appearances varying in height and build, and even one with blue skin. (TVDestiny of the Daleks)

The Eighth Doctor's eyes could change colour between green and blue. (TV: Vampire Science)  The Master's eyes could change colour from dark brown, flecked with gold, to midnight blue, to a deep purple. (PROSEDoctor Who and the Dæmons

However, Time Lords' physical forms were only fragments of much vaster multi-dimensional ones, existing in a realm invisible to humans. (PROSE:  Sky Pirates!, Deceit, The Taking of Planet 5) For at least some, referred to as caillou, this aspect was able to manipulate luck around a Time Lord. (TVChristmas on a Rational Planet)


Gallifreyans were, on the whole, extremely tough and resilient. An average Gallifreyan was superior to a human at their peak. (PROSEDoctor Who and the Terror of the Autons)

If pushed from a height into a liquid, as the Fifth Doctor was during a scuffle in the reactor room of Sea Base 4 when a guard was fighting him on a gangway over the cooling tank, a Time Lord body was capable of protecting them, sealing up the lungs to conserve air for a short period. (PROSEWarriors of the Deep)

They could even survive the subzero temperatures and extremely low pressure of vacuum for around six minutes, (TVFour to Doomsday)  and survive electric shocks that would be fatal to humans. (TVGenesis of the DaleksTerror of the Zygons)

Radiation could be fatal, but even then a Gallifreyan could handle much higher doses than a normal human could, and could hold out much longer than even most terrestrial life-forms, (TVPlanet of the Spiders)

Gallifreyans needed less sleep than humans, and could make do with as little as an hour. (TVThe Talons of Weng-Chiang; PROSEThe Highlanders)

A Gallifreyan who was severely injured without actually needing to regenerate to heal the damage would generally slip into a healing coma, and devote all his or her energy to healing the injury. While in the coma, they would appear to be dead. (TVInfernoPlanet of the Daleks)

Special abilities[]

Time Lords occasionally displayed, or referred to, the ability to fly. Due to his coordinates having "slipped", the Time Lord messenger who warned the Third Doctor of the Master's presence on Earthmaterialised hovering in the air, an error he soon corrected. (TVTerror of the Autons)  However, later incarnations of the Doctor were not so keen to fly; the Fourth Doctor and Romana II briefly considered flying to get to the top of the Eiffel Tower, though they eventually took the lifts because flying would have been too conspicuous. (TVCity of Death) As part of a scheme to be carried out by both himself and the Fourth Doctor, Drax told the Doctor he could "fly over there and shut the door", although this plan was not carried out. (TVThe Armageddon Factor)

Life Cycle[]

Time Lords were born from individual Family Looms, machines that operated on genetic banks that would weave random patterns until forming a new person. (TV: Lungbarrow)

Female Time Lords were also referred to as Time Ladies. (TVCity of Death)

When on the brink of death a Time Lord could regenerate, changing their entire physical appearance and giving them a new life. (TV: The Tenth Planet) They had thirteen lives and could regenerate twelve times, an attempted thirteenth regeneration would cause their current body to decay and would cause insanity. (TV: The Deadly Assassin)

Even without regeneration, Gallifreyans had considerable lifespans. Within one regeneration, Gallifreyans could live for hundreds of years, yet look much younger than a human of equivalent age. When artificially aged 500 years, the Fourth Doctor looked like an elderly human. (TVThe Leisure Hive)

The Second Doctor once stated that, barring accidents, his people could "live forever". (TVThe War Games) The Doctor once said that he considered himself at approaching 750 to be middle-aged. (TVPyramids of Mars) One Time Lord, Quences, was killed when he was over 7,000 years old. (TVLungbarrow)

Time Lords had some control over their own deaths, some would elect a specific "Death-Day," which would allow them time to read their will to their family in their ancestral home, to die after a time of contemplation and acceptance, and then to have their mind transferred to the Matrix. (TVLungbarrow)

Once they had died, a Time Lord's mind and experiences were usually uploaded to the Matrix on Gallifrey. (TVThe Deadly Assassin)



One of the major institutions of the Time Lords was the Time Lord Academy. It was split up into Chapters, each of which was identified by its distinctive colours. (TVThe Deadly Assassin) The subjects at the academy ranged from the study of cosmic science (TVTerror of the Autons) to Veteran and Vintage Vehicles (TVThe Pirate Planet) to Gallifreyan flutterwings. (TVThe Pirate Planet)

Food and sustenance[]

Gallifreyan physiology provided for a diet similar to the human one (TVThe Keys of Marinus, Family of Evil) including fruit and flesh, but the Time Lords had long lost the habit of feeding with raw or complex food by the time of the presidency of the Fourth Doctor. Freeze-dried pills were employed instead. (TVThe Invasion of Time) Fruit and meat would be eaten on formal occasions, such as holidays, Name Days of Family and Death Days. Such food included fish, Trumpberries, Magenta Fruits and Pig Rats. (TVLungbarrow) is


At events like the resignation of a Lord President, Time Lords who attended wore long robes in bright colours. The different colours signified where on Gallifrey each Time Lord had come from: Prydonians wore robes of scarlet and orange; Arcalians wore green; Patrexes wore heliotrope; Scendeles robes changed from light pink to a darker shade of red; Dromeians wore grey, black and silver; and Ceruleans wore subdued blue colours. (TVThe Deadly AssassinLungbarrow) In addition, most high-ranking Time Lords donned a decorative headdress and crest, complete with a scarlet cap. (TVThe Deadly Assassin)

Of those Time Lords seen repeatedly visiting other worlds, such as the Doctor and Romana, they tended to adopt the local dress of their preferred destination - in the Doctor's case, that of Earth - that mixed well with the locals, though Romana adopted the same largely to mimic him. (TVDestiny of the Daleks)



The Time Lords were led by the High Council. The Council consisted of the Lord or Lady President, the Lord or Lady Chancellor, the Castellan and Lords Cardinal. (TVThe Deadly Assassin)

The Lord or Lady Chancellor was next in power and handled many of the government functions. The Castellan controlled the Chancellery Guard and therefore the safety of Gallifrey. (TVThe Deadly Assassin)

The rest of the High Council was made up of the Lords Cardinal, which represented the various Gallifreyan Chapters. (TVThe Deadly Assassin)


The protection of the Time Lords was carried out by the Chancellery Guard. They protected the Capitol, investigated crimes and captured criminals. (TVThe Deadly Assassin

By the Doctor's time, punishment was done via disintegration. Morbius was executed this way, but managed to survive as just a brain. (TVThe Brain of Morbius)

The punishments used for crimes varied in severity.

  • For his breaking of the non-interference policy, the Second Doctor was forced to regenerate and was exiled to Earth with a non-functioning TARDIS. (TVThe War Games)
  • Committing genocide would lead to the removal of any remaining regenerations a Time Lord had; artificial species were not considered alive, thus genocide was impossible. (TVThe Trial of a Time Lord)
  • For the various crimes the Master committed, his punishment would have been the reversal of his time stream, such that he had never existed. (PROSEDoctor Who and the Terror of the Autons) A similar punishment was carried out on the War Lord for his interference in human history which led to the deaths of thousands; he (and several of his guards) were dematerialised out of existence. The War Lord homeworld had a force field placed around it. (TVThe War Games)
  • When the Doctor was framed for assassinating the Time Lord President, he would have been vaporised if found guilty. (TVThe Deadly Assassin)


Academy students sometimes played a dangerous game called "Eighth Man Bound". The multidimensional game of Perigosto, played with a ball and a specialised Perigosto stick, was also a favourite, as was a complicated board game called Sepulchasm. (TVLungbarrow)

During a darker, more barbarous time in the planet's past, Time Lords enjoyed watching time-displaced individuals fight to the death in a dedicated area called the Death Zone, but that practice had been entirely abandoned by the Doctor's day. (TVThe Five Doctors)


Stellar manipulation[]

Using the Hand of Omega, the Time Lords could speed up the development of stars. (TVRemembrance of the Daleks

Weaponry and defences[]

Despite being one of the most powerful species in the universe, the Time Lords had little in the way of defences and their conventional warfare technology was lagging behind many other civilisations. This may be due in part to the transduction barrier, which covered the planet and which was almost completely impenetrable by outside forces or their general policy of non-interference. As such, when they were invaded by the Sontarans, they were unable to defend themselves with their regular stasers and the Fourth Doctor needed to use an ancient Time Lord weapon called the De-mat Gun. (TVThe Invasion of Time


Time of Empires[]

There were no laws of physics, only infinite possibility. (TVChristmas on a Rational Planet)  A Time Lord emissary reminded the Fourth Doctor that Gallifrey had perfected the transmat beam when the universe was less than half its "present" size. (TVGenesis of the Daleks)

Anchoring of the Thread[]

This caused whole civilisations to disappear and drove the children of Pythia to powerlessness as they lost their power of precognition. (TVChristmas on a Rational Planet)

Time of Chaos[]

Rassilon accidentally opened a doorway into another universe. (TVHostage) The Great Vampires escaped and caused mass destructionhi . (TVState of Decay) The Time Lords, led by Kopyion Liall a Mahajetsu, tried to stop them, leading to the thousand year Eternal War. They eventually pushed them back into their own universe, (TVHostage)

The Old Time[]

The Time Lords had three main founders: the technological polymath Rassilon, (TVThe Deadly Assassin) the stellar engineer Omega, (TVThe Three Doctors) and an other. (TV: Lungbarrow)

Omega used two stellar manipulators, the "hands" of Omega, to detonate a star (TVRemembrance of the Daleks)  Although he survived in the anti-matter universe, Omega was presumed dead. (TVThe Three Doctors)

when the Watchmakers surrounded the creative and changeable parts of their minds, (TVChristmas on a Rational Planet) the last Pythia cursed Gallifrey with sterility before killing herself. To stabilise Gallifreyan society, the looms and Great Houses were created, (TV: Lungbarrow)

Beginning of Rassilon's era[]

Entry 1:
Be7C5: simulated PXRD pattern (CuKα), based on a DFT-relaxed cell (GGA-PBE, Alexandria).

The 12 most intense peaks (5 to 70 degrees two-theta), in order of rising 2θ:
- 22.4 deg, rel. 64
- 30.1 deg, rel. 59
- 40.6 deg, rel. 73
- 45.6 deg, rel. 17
- 48.1 deg, rel. 22
- 49.0 deg, rel. 23
- 53.6 deg, rel. 18
- 57.8 deg, rel. 100
- 60.7 deg, rel. 11
- 62.5 deg, rel. 16
- 63.2 deg, rel. 10
- 64.7 deg, rel. 25

Structure:
Cell lengths 5.3527, 5.3527, 5.9414 Å; angles 90.00, 90.00, 90.00 degrees
Space group I4mm (No. 107)
Asymmetric unit:
Be1 0.0000 0.0000 0.0000 [2 per cell]
Be2 0.0000 0.2634 0.6870 [8 per cell]
Be3 0.0000 0.5000 0.4370 [4 per cell]
C1 0.0000 0.0000 0.3020 [2 per cell]
C2 0.2109 0.2109 0.4205 [8 per cell]

---

Entry 2:
BeCdC: simulated PXRD pattern (CuKα), based on a DFT-relaxed cell (GGA-PBE, Alexandria).

The 12 most intense peaks (5 to 70 degrees two-theta), in order of rising 2θ:
- 9.7 deg, rel. 100
- 29.3 deg, rel. 48
- 30.3 deg, rel. 36
- 32.4 deg, rel. 29
- 34.9 deg, rel. 32
- 35.2 deg, rel. 21
- 37.4 deg, rel. 25
- 37.5 deg, rel. 25
- 38.1 deg, rel. 32
- 41.3 deg, rel. 18
- 43.3 deg, rel. 15
- 56.6 deg, rel. 15

Structure:
Cell lengths 2.8780, 3.2888, 9.2670 Å; angles 83.29, 81.29, 64.11 degrees
Space group P-1 (No. 2)
Asymmetric unit:
Be1 0.1053 0.2100 0.0798 [2 per cell]
Cd1 0.3717 0.4073 0.3487 [2 per cell]
C1 0.4076 0.6178 0.0684 [2 per cell]

---

Entry 3:
Ce2ErBeC2: simulated PXRD pattern (CuKα), based on a DFT-relaxed cell (GGA-PBE, Alexandria).

The 12 most intense peaks (5 to 70 degrees two-theta), in order of rising 2θ:
- 18.3 deg, rel. 11
- 26.4 deg, rel. 23
- 29.0 deg, rel. 49
- 31.8 deg, rel. 18
- 33.4 deg, rel. 27
- 34.3 deg, rel. 100
- 43.1 deg, rel. 17
- 46.8 deg, rel. 15
- 47.9 deg, rel. 21
- 59.6 deg, rel. 18
- 60.1 deg, rel. 11
- 60.3 deg, rel. 33

Structure:
Cell lengths 5.3627, 11.2541, 3.5432 Å; angles 90.00, 90.00, 90.00 degrees
Space group Pnnm (No. 58)
Asymmetric unit:
Ce1 0.0090 0.2135 0.0000 [4 per cell]
Er1 0.0000 0.5000 0.5000 [2 per cell]
Be1 0.0000 0.0000 0.5000 [2 per cell]
C1 0.2359 0.1033 0.5000 [4 per cell]

---

Entry 4:
Ce2HoBeC2: simulated PXRD pattern (CuKα), based on a DFT-relaxed cell (GGA-PBE, Alexandria).

The 12 most intense peaks (5 to 70 degrees two-theta), in order of rising 2θ:
- 18.3 deg, rel. 10
- 26.3 deg, rel. 23
- 29.0 deg, rel. 49
- 31.8 deg, rel. 17
- 33.4 deg, rel. 28
- 34.2 deg, rel. 100
- 43.0 deg, rel. 17
- 46.7 deg, rel. 15
- 47.8 deg, rel. 21
- 59.5 deg, rel. 18
- 60.0 deg, rel. 11
- 60.1 deg, rel. 33

Structure:
Cell lengths 5.3701, 11.2682, 3.5551 Å; angles 90.00, 90.00, 90.00 degrees
Space group Pnnm (No. 58)
Asymmetric unit:
Ce1 0.0067 0.2131 0.0000 [4 per cell]
Ho1 0.0000 0.5000 0.5000 [2 per cell]
Be1 0.0000 0.0000 0.5000 [2 per cell]
C1 0.2338 0.1041 0.5000 [4 per cell]

---

Entry 5:
BeTcRuCCl: simulated PXRD pattern (CuKα), based on a DFT-relaxed cell (GGA-PBE, Alexandria).

The Game of Rassilon was a blood sport played in the Death Zone on Gallifrey using the Time Scoop, which relocated beings from all of time and space (except for Daleks and Cybermen, considered too dangerous to try to contain) and placed them in the Death Zone to fight each other to the death. (TVThe Five Doctors) Rassilon's rule saw the end of the games in the Death Zone. (TVThe Five Doctors)

The Time Lords tried doing business with the Hoothi. The Hoothi caused a war on one of the worlds with which Gallifrey was negotiating, and later attacked Gallifrey itself using a Time Lord ambassador as a host. The Time Lords struck back with a counterattack and put the Hoothi worlds in a time loop. The Hoothi were forced to leave the galaxy. (TVLove and War)

Beginning of non-interference[]

A non-interference policy was created  due to the damage that had been done by the Time Lords to other species using time travel. (TVUnderworld)

• Calculated crystals, as found in the file:
~~~
Diffraction record for Li4Mn3O7. The powder XRD pattern is calculated, not measured: it uses the GGA+U geometry in Alexandria and λ = 1.5418 Å (Cu Kα).
Intensities are scaled so that the largest is 100.

Main lines, in order of rising 2θ (2θ from 10° to 90°):
2theta, I/Imax
18.3, 100
33.7, 17
36.3, 24
40.5, 36
44.3, 28
44.5, 27
61.4, 17
61.8, 8
62.0, 8
65.0, 7

Cell: 5.3468 6.0146 8.6891 Å, 91.96 93.55 110.91°
Space group P-1 (No. 2)
Unique sites:
Li 0.0000 0.0000 0.0000
Li 0.0000 0.5000 0.0000
Li 0.1640 0.2796 0.2877
Li 0.2864 0.5694 0.5752
Li 0.4164 0.8485 0.8638
Mn 0.1414 0.7802 0.2829
Mn 0.2846 0.0678 0.5735
Mn 0.4288 0.3564 0.8591
O 0.0204 0.7608 0.4969
O 0.1620 0.0444 0.7859
O 0.1633 0.4993 0.7923
O 0.3100 0.7993 0.0900
O 0.3149 0.3327 0.0668
O 0.4055 0.0942 0.3649
O 0.4501 0.6183 0.3492

~~~~~

Computed powder XRD pattern
Compound: FeS2O8
Radiation: copper Kα
Structure: a GGA+U-relaxed structure
Lines closer than 0.1° are merged.

```
data_FeS2O8
_symmetry_space_group_name_H-M 'P 1'
_symmetry_Int_Tables_number 1
_cell_length_a 8.946
_cell_length_b 8.946
_cell_length_c 8.946
_cell_angle_alpha 55.71
_cell_angle_beta 55.71
_cell_angle_gamma 55.71
loop_
_symmetry_equiv_pos_as_xyz
'x,y,z'
loop_
_atom_site_label
_atom_site_fract_x
_atom_site_fract_y
_atom_site_fract_z
_atom_site_occupancy
Fe1 0.000 0.000 0.000 1
Fe2 0.205 0.205 0.205 1
Fe3 0.505 0.505 0.505 1
S1 0.108 0.398 0.815 1
S2 0.314 0.898 0.605 1
S3 0.398 0.815 0.108 1
S4 0.605 0.314 0.898 1
S5 0.815 0.108 0.398 1
S6 0.898 0.605 0.314 1
O1 0.009 0.077 0.378 1
O2 0.034 0.400 0.334 1
O3 0.060 0.246 0.845 1
O4 0.077 0.378 0.009 1
O5 0.116 0.980 0.737 1
O6 0.246 0.845 0.060 1
O7 0.317 0.362 0.687 1
O8 0.331 0.708 0.631 1
O9 0.334 0.034 0.400 1
O10 0.362 0.687 0.317 1
O11 0.378 0.009 0.077 1
O12 0.400 0.334 0.034 1
O13 0.467 0.869 0.645 1
O14 0.594 0.736 0.983 1
O15 0.631 0.331 0.708 1
O16 0.645 0.467 0.869 1
O17 0.687 0.317 0.362 1
O18 0.708 0.631 0.331 1
O19 0.736 0.983 0.594 1
O20 0.737 0.116 0.980 1
O21 0.845 0.060 0.246 1
O22 0.869 0.645 0.467 1
O23 0.980 0.737 0.116 1
O24 0.983 0.594 0.736 1
```

Largest 6 diffraction maxima, in order of rising 2θ, 10 to 80 degrees two-theta:
2θ/deg	I (rel.)
14.53	48
19.94	27
24.35	100
29.30	26
31.99	36
32.97	14

Computed powder XRD pattern
Compound: FeSO5
Radiation: copper Kα
Structure: a GGA+U-relaxed structure
Lines closer than 0.1° are merged.

```
data_FeSO5
_symmetry_space_group_name_H-M 'P 1'
_symmetry_Int_Tables_number 1
_cell_length_a 7.108
_cell_length_b 6.499
_cell_length_c 7.357
_cell_angle_alpha 90.00
_cell_angle_beta 90.00
_cell_angle_gamma 90.00
loop_
_symmetry_equiv_pos_as_xyz
'x,y,z'
loop_
_atom_site_label
_atom_site_fract_x
_atom_site_fract_y
_atom_site_fract_z
_atom_site_occupancy
Fe1 0.127 0.250 0.248 1
Fe2 0.373 0.750 0.748 1
Fe3 0.627 0.250 0.252 1
Fe4 0.873 0.750 0.752 1
S1 0.127 0.750 0.130 1
S2 0.373 0.250 0.630 1
S3 0.627 0.750 0.370 1
S4 0.873 0.250 0.870 1
O1 0.048 0.250 0.984 1
O2 0.123 0.750 0.678 1
O3 0.127 0.569 0.250 1
~~~
• The text goes on:

One legend said that despite Rassilon's great achievements, the Time Lords rebelled against him and imprisoned him in the Dark Tower in the Death Zone. Rassilon survived in the tower (TVThe Five Doctors

Eons of Stability[]

Millennia of isolation induced a complacency among the Time Lords. Their technology and power stagnated, even as other races became more powerful and dangerous. (TVThe Deadly Assassin)

The specific order of the following events is unknown.
  • Mawdryn and a group of scientists tried to steal the secrets of regeneration from Gallifrey, stealing a metamorphic symbiosis regenerator, but they were unsuccessful and they became stuck in a cycle of never-ending mutated regeneration. (TVMawdryn Undead)

The Imperitor Presidency[]

Morbius, a renegade Time Lord wanted the Time Lords to abandon their non-interference policy and intervene in the outside universe in their own self-interest, and he campaigned for conquest of the lesser species. He gathered an army of mercenaries to himself, making extravagant promises to them about time travel and immortality. He was eventually captured, put on trial, and executed on Karn. However, Mehendri Solon removed Morbius' brain prior to his disintegration and he began building a new body for Morbius. (TVThe Brain of Morbius)

The Doctor's missions for the CIA[]

the Master went to Uxarieus to get the Doomsday weapon, the Time Lords temporarily fixed the Doctor's TARDIS and took him and Jo Grant to Uxarieus. The Doctor stopped the Master and destroyed weapon before it could be used. (TVColony in Space)

The Time Lords were easily rendered helpless when Omega began to drain energy from Gallifrey, and were only saved by the intervention of the Second and Third Doctor. (TVThe Three Doctors)

The Time Lords continued to give the Doctor missions after his third regeneration. After the Time Lords foresaw a future where Daleks became the dominant lifeform in the universe, they brought the Doctor, Sarah Jane Smith, and Harry Sullivan to Skaro during the creation of the Daleks. Ferain informed them that they had to stop Davros' experiments and gave them time rings to escape. The Doctor was unable to stop the creation of the Daleks, but still changed history by forcing Davros to rush the creation. (TV: Genesis of the DaleksLungbarrow)

Constitutional crisis[]

The Time Lords faced "the most dangerous crisis in their long history" when, during the President's resignation, he was assassinated by Chancellor Goth before he could name his successor. Goth was plotting with the Master to frame the Fourth Doctor and take power uncontested. The Doctor ran against Goth in the election to buy himself time to investigate the death; he succeeded in unraveling the scheme, but in the process, the Master killed Goth, leaving the Doctor as the next President. Because the Doctor didn't want this responsibility, he left in his TARDIS. (TVThe Deadly Assassin)

When the Fourth Doctor returned to Gallifrey, he found the planet without a President and led by Lord Chancellor Borusa. Claiming his right to the Presidency from the old election, he briefly became the 407th President (TV: The Invasion of Time, as part of a plot to defeat a Vardan invasion. This invasion was a front, however, for a Sontaran invasion of Gallifrey. Although defeated, these invasions exposed weaknesses in Gallifrey's defences. (TVThe Invasion of Time)

Borusa was later officially inducted as Lord President of Gallifrey and dealt with Omega's attempted incursion into normal space via the Arc of Infinity. Omega utilised the Fifth Doctor's biodata extract (supplied by Hedin) to do so. To prevent Omega's incursion Borusa ordered the Doctor's termination. (TVArc of Infinity)

Following another regeneration Lord President Borusa began to investigate the legacy of Rassilon, specifically immortality. Borusa sought to be "President Eternal" ruling Gallifrey forever. Utilising the time scoop he summoned four of the Doctor's incarnations to the Death Zone, using them gain access for him to the Tomb of Rassilon. Ultimately Borusa gained the immortality he sought by Rassilon, entombed as a living statue on Rassilon's sarcophagus. (TVThe Five Doctors)

Following the close of the crisis induced by Borusa the full High Council utilised its emergency powers and made the Doctor President of Gallifrey. The Doctor departed briskly leaving Chancellor Flavia, giving her "full deputy powers until (he) returned", (TVThe Five Doctors)

Later, the High Council decided to physically move Earth in order to preserve secrets stolen from the Matrix. (TVThe Mysterious Planet)

These revelations caused a revolution on Gallifrey. (TVThe Ultimate Foe)

Romana's Presidency[]

At some point Romana returned from E-Space with K-9 Mark II and became Lady President of Gallifrey. (TV: Lungbarrow, Election Day)

Ferain led a group of corrupt CIA members in an attempt to overthrow Romana. Romana allied with the Sisterhood of Karn and together they lifted Pythia's Curse. (TV: Lungbarrow)

Romana ran in an Election against Kalien who attempted to rig the Election. Her plans were thwarted by the Eighth Doctor and Romana continued as President. (TV: Election Day)

List of Appearances[]

Doctor Who[]

Season 6[]

  • The War Games

Season 8[]

  • Terror of the Autons

Season 10[]

  • The Three Doctors

Season 11[]

  • Planet of the Spiders

Season 14[]

  • The Deadly Assassin

Season 15[]

  • The Invasion of Time

Season 16[]

  • The Armageddon Factor

Season 20[]

  • Arc of Infinity

20th Anniversary Special[]

  • The Five Doctors

Season 23[]

  • The Mysterious Planet
  • Mindwarp
  • Terror of the Vervoids
  • The Ultimate Foe

Season 27[]

Season 29[]

Season 30[]

  • Election Day